# 1
The following is a DFT calculation (ωB97M-V with the def2-TZVPD basis set) of a structure of composition C18H37N7O2V.

The orbital gap (alpha / beta) is 0.307 / 0.330 Eh. Its charge is +3. The expectation value of S² is 2.01. The max |F| comes out at 0.006 hartree/bohr. The energy above the lowest of the compared OMol25 structures with the same formula, charge and spin is 0.0 kJ/mol. The calculation puts the total energy at -2185.0806 Eh. As for the multiplicity: 3.

Last column: Mulliken charge in e.
Cartesian coordinates (Å):
V  1.72  -0.50  -0.48  1.308
C  2.32  2.06  -1.67  -1.132
N  2.90  0.69  -1.73  0.667
C  2.95  0.27  -3.16  -1.107
C  4.27  0.68  -1.13  -0.816
C  4.18  0.75  0.38  -0.906
N  3.29  -0.33  0.90  0.776
C  4.04  -1.60  1.02  -1.275
C  2.76  0.04  2.25  -1.242
H  2.98  2.75  -2.19  0.416
H  2.20  2.39  -0.64  0.357
H  1.34  2.06  -2.15  0.335
H  3.54  0.99  -3.73  0.404
H  1.94  0.23  -3.56  0.305
H  3.42  -0.71  -3.24  0.405
H  4.85  1.51  -1.53  0.415
H  4.76  -0.24  -1.45  0.406
H  3.77  1.71  0.70  0.441
H  5.17  0.66  0.83  0.417
H  4.80  -1.50  1.79  0.397
H  4.53  -1.85  0.08  0.399
H  3.36  -2.41  1.30  0.355
H  3.59  0.19  2.93  0.392
H  2.14  -0.77  2.62  0.345
H  2.16  0.95  2.18  0.482
N  -2.40  -0.66  -0.38  -0.575
C  -2.17  0.48  0.50  0.247
C  -2.92  1.76  0.07  -0.765
C  -2.83  2.97  1.00  -1.067
C  -3.67  2.89  2.28  -0.888
N  -5.09  3.07  1.99  -0.103
C  -6.04  3.23  2.92  0.743
N  -5.74  3.09  4.20  -0.322
N  -7.29  3.50  2.55  -0.368
C  -0.68  0.75  0.64  0.033
O  -0.18  1.36  1.54  -0.593
O  0.08  0.27  -0.38  -0.727
H  -2.41  -0.37  -1.35  0.254
H  -3.31  -1.07  -0.19  0.285
H  -2.48  0.19  1.51  0.350
H  -3.96  1.46  -0.09  0.371
H  -2.54  2.05  -0.91  0.427
H  -3.14  3.86  0.46  0.462
H  -1.80  3.15  1.30  0.387
H  -3.34  3.68  2.96  0.525
H  -3.52  1.92  2.78  0.509
H  -5.36  3.23  1.03  0.253
H  -4.80  2.91  4.51  0.195
H  -6.43  3.23  4.92  0.211
H  -7.54  3.64  1.59  0.197
H  -8.01  3.64  3.24  0.204
C  0.70  -6.28  -2.81  -1.458
C  0.96  -4.92  -2.25  1.026
C  2.24  -4.35  -2.27  -1.070
C  2.43  -3.09  -1.77  -0.215
N  1.43  -2.36  -1.23  0.060
C  0.19  -2.89  -1.21  -0.201
C  -0.07  -4.15  -1.70  -0.756
H  1.59  -6.90  -2.78  0.402
H  0.40  -6.18  -3.85  0.320
H  -0.10  -6.78  -2.27  0.405
H  3.08  -4.90  -2.68  0.467
H  3.42  -2.64  -1.78  0.448
H  -0.60  -2.27  -0.79  0.291
H  -1.08  -4.53  -1.65  0.491

=====

# 2
The following is a DFT calculation (ωB97M-V with the def2-TZVPD basis set) of a cluster of 4 separate species, C18H37N8O4S in total at a distorted geometry.

The orbital gap is 0.300 Eh. Its charge is +1. The max |F| comes out at 0.070 hartree/bohr. The calculation puts the total energy at -1844.9854 Eh.

Last column: Mulliken charge in e.
Cartesian coordinates (Å):
N  2.31  5.10  -0.30  -0.231
C  1.15  4.67  -0.68  0.458
N  0.16  5.61  -0.99  -0.517
C  -0.47  4.95  -2.18  -0.650
C  -0.46  3.50  -1.69  -0.276
N  0.73  3.39  -0.79  0.209
C  1.87  2.54  -1.29  -0.989
C  1.47  1.10  -1.59  -0.052
C  2.63  0.13  -1.32  -1.367
C  3.01  -0.67  -2.58  -1.054
S  4.10  0.38  -3.59  -0.209
C  5.38  -0.65  -4.11  0.454
N  5.36  -1.41  -5.15  -0.229
N  6.57  -2.04  -5.21  -0.362
C  7.26  -1.61  -4.22  0.035
O  6.58  -0.74  -3.47  -0.263
H  3.15  4.56  -0.24  0.219
H  2.38  6.08  -0.05  0.298
H  -0.51  5.60  -0.22  0.335
H  0.25  5.01  -2.98  0.324
H  -1.45  5.37  -2.36  0.433
H  -0.64  2.69  -2.39  0.491
H  -1.33  3.45  -1.04  0.014
H  2.62  2.53  -0.50  0.459
H  2.35  3.01  -2.15  0.482
H  0.65  0.87  -0.90  -0.052
H  1.08  1.01  -2.59  0.425
H  3.53  0.67  -1.06  0.594
H  2.40  -0.52  -0.49  0.797
H  2.12  -0.87  -3.17  0.542
H  3.47  -1.62  -2.31  0.496
H  8.26  -1.90  -4.01  0.432
C  -3.93  2.68  0.61  0.073
O  -2.99  3.45  0.44  -0.639
N  -3.82  1.39  0.94  0.163
C  -4.98  0.54  1.14  -0.929
C  -2.49  0.82  1.12  -1.108
H  -4.98  3.01  0.51  0.293
H  -4.99  0.14  2.15  0.377
H  -4.95  -0.29  0.43  0.318
H  -5.90  1.10  0.97  0.289
H  -1.96  1.36  1.91  0.268

Could you work out how many lines further up have the word "orbital" in them; a number is enough?

2